-- Excerpt --
********
# 1
Here is an isolated molecule of C4H7FS from the OMol25 dataset. Energies are from ωB97M-V/def2-TZVPD.

```
13
Properties=species:S:1:pos:R:3:forces:R:3
S 2.617630 -0.893274 -0.342437 -0.84 1.25 1.17
C -0.079202 -0.097252 0.239671 1.47 -1.49 0.34
H -1.505811 -1.035462 -0.923376 -1.19 0.33 -1.05
H -1.751765 1.407054 0.373538 1.06 -0.60 -0.31
H 1.576240 0.634127 1.372026 1.13 -0.27 -0.16
C 1.519626 -0.027748 0.497432 -1.97 -0.83 -0.88
H -0.373142 1.791629 -0.816743 -0.40 -0.66 2.33
F -0.557716 -0.694067 1.460990 0.34 0.39 -0.45
H -0.197679 1.839014 1.090036 0.06 0.19 -0.52
H 0.173391 -0.999109 -1.811549 -1.26 0.11 1.14
C -0.637884 1.309917 0.233734 -0.31 0.85 -2.02
C -0.452017 -1.109885 -0.867199 1.28 0.80 0.16
H -0.331669 -2.124945 -0.506123 0.62 -0.06 0.25
```
Positions in Å, forces in eV/Å.

The calculation puts the LUMO energy at -0.6 eV. Its energy relative to the best compared isomer or geometry (same formula, charge and spin) is 1.424 eV. As for the SMILES: CC(C)(F)C=S. The gap between HOMO and LUMO is 0.3106 hartree. The total energy is -17812.9177 eV. The largest force on an atom is 2.5 eV Å⁻¹.


# 2
Here is an isolated molecule of C8H14 from the OMol25 dataset. Energies are from ωB97M-V/def2-TZVPD.

```
22
Properties=species:S:1:pos:R:3:forces:R:3
H -3.516034 -1.211067 -2.028183 1.04 0.87 0.16
H 1.564750 -2.514099 0.480477 -0.31 1.04 -0.60
C -1.918099 -0.842634 -0.489413 -0.69 3.23 0.80
H 0.053411 0.139043 2.150846 0.27 0.40 0.01
C -0.023641 -0.368309 1.200809 -1.08 -1.17 -2.13
H -2.485822 0.282669 -2.325224 -0.22 -0.17 0.11
H 2.589845 -1.491343 -0.702090 0.29 -0.48 -0.44
H -1.896935 0.933879 0.596228 1.38 0.05 -0.68
H -0.119931 -1.447483 1.390368 -0.25 0.32 0.39
H 2.375679 0.947848 -1.092298 -1.76 0.05 1.08
C 1.902256 2.040987 0.783722 -1.11 -0.61 -0.74
C 1.731004 -1.553774 -0.058737 0.51 1.28 0.42
H -1.857915 -1.893699 -0.298728 0.79 -0.64 -0.70
H 1.150835 1.837451 1.596396 1.18 1.00 -0.37
C -1.268925 0.040652 0.361158 -2.00 -1.71 -0.18
C 1.520576 0.990298 -0.297514 1.69 0.14 -1.51
H 0.563545 1.369448 -0.709700 0.68 -0.04 -0.39
H -3.837580 0.186950 -1.151537 -0.13 0.84 0.61
H 1.702839 2.943043 0.203089 -0.16 0.51 0.84
H 2.958114 2.107458 1.073240 -0.42 -0.59 0.26
C 1.171471 -0.352686 0.200698 -0.40 -1.78 2.31
C -2.988775 -0.319550 -1.564537 0.69 -2.54 0.75
```
Positions in Å, forces in eV/Å.

The calculation puts the LUMO energy at 1.1 eV. Its energy relative to the best compared isomer or geometry (same formula, charge and spin) is 2.822 eV. As for the SMILES: C=C(CC)C/C=C/C. The gap between HOMO and LUMO is 0.3619 hartree. The total energy is -8520.2580 eV. The largest force on an atom is 3.4 eV Å⁻¹.


# 3
Here is a structure of composition C4H5NO2S from the OMol25 dataset. Energies are from ωB97M-V/def2-TZVPD.

```
13
Properties=species:S:1:pos:R:3:forces:R:3
H 0.091615 2.416173 0.568289 4.62 0.44 3.34
O -2.100075 -0.755872 -0.666666 -1.90 -1.83 -1.36
S 2.284834 0.226559 -0.754332 -4.15 1.16 -1.25
C -0.970901 0.890230 -0.073353 2.08 1.71 2.48
C -0.266036 -0.304659 0.419661 2.20 0.69 -1.82
H 1.757067 -0.196497 1.674044 -1.43 -0.58 -2.85
O -0.603392 2.226957 0.063981 -5.63 -2.44 -3.85
C -1.012549 -1.280272 -0.166855 2.55 -0.89 1.64
H 0.809638 0.779948 -1.428942 3.89 -1.18 1.11
H -0.567016 -2.362527 -0.217972 -2.09 1.94 -0.31
C 1.284112 -0.524163 0.580760 -0.14 -1.90 3.34
N -2.097790 0.616506 -0.618735 0.03 0.04 -0.19
H 1.390492 -1.732377 0.620119 -0.02 2.84 -0.29
```
Positions in Å, forces in eV/Å.

The calculation puts the LUMO energy at 0.0 eV. Its energy relative to the best compared isomer or geometry (same formula, charge and spin) is 5.448 eV. The gap between HOMO and LUMO is 0.3476 hartree. The total energy is -20644.7314 eV. The largest force on an atom is 7.2 eV Å⁻¹.


# 4
Here is a structure of composition C50H47BrN3O4OsP3 from the OMol25 dataset. Energies are from ωB97M-V/def2-TZVPD.

```
109
Properties=species:S:1:pos:R:3:forces:R:3
H -5.649836 1.400561 1.070768 0.00 -0.02 0.01
********

-- To do --
Next, return only the lines further up with the word "charge" in them.

-- Here it is --
The calculation puts the LUMO energy at -0.6 eV. Its energy relative to the best compared isomer or geometry (same formula, charge and spin) is 1.424 eV. As for the SMILES: CC(C)(F)C=S. The gap between HOMO and LUMO is 0.3106 hartree. The total energy is -17812.9177 eV. The largest force on an atom is 2.5 eV Å⁻¹.
The calculation puts the LUMO energy at 1.1 eV. Its energy relative to the best compared isomer or geometry (same formula, charge and spin) is 2.822 eV. As for the SMILES: C=C(CC)C/C=C/C. The gap between HOMO and LUMO is 0.3619 hartree. The total energy is -8520.2580 eV. The largest force on an atom is 3.4 eV Å⁻¹.
The calculation puts the LUMO energy at 0.0 eV. Its energy relative to the best compared isomer or geometry (same formula, charge and spin) is 5.448 eV. The gap between HOMO and LUMO is 0.3476 hartree. The total energy is -20644.7314 eV. The largest force on an atom is 7.2 eV Å⁻¹.